Catalonia Trade & Investment identifies 8,900 foreign companies located in Catalonia, 3% more than in 2018
06 Oct 2020
- France (13% of the total), Germany (13%), the United States (12%), Italy (9%) and the United Kingdom (9%) are the countries with the most companies established in Catalonia.
- 1,369 foreign companies (16% of the total) located in Catalonia are in the technology sector, 21% more than in 2018.
The Ministry for Business and Knowledge, through Catalonia Trade & Investment -the agency for business competitiveness- has identified 8,900 subsidiaries of foreign companies located in Catalonia (2019 data), that is an increase of 3% compared to the year 2018.
According to the Minister for Business and Knowledge, Ramon Tremosa, "Catalonia has an increasing presence of foreign companies: if in 2013 we identified 5,600 subsidiaries for the first time, we now have 60% more". Tremosa said "more presence of foreign companies translates into the creation of skilled jobs, more talent, more international connection and more strength for our economy”.
The countries with the highest presence of foreign companies in Catalonia are France (with 13% of the total), Germany (13%), the United States (12%), Italy (9%), the United Kingdom (9%), the Netherlands (7%), Switzerland (5%), Luxembourg (4%), Denmark (3%) and Japan (3%). China’s case stands out, as in 2013 it occupied the 33rd position in the ranking and is currently the 14th country with more companies. In fact, Tremosa said that "the most significant increase by geographical area is that of Asia-Pacific, with a growth of 15% year-on-year in the number of companies”.
According to Catalonia Trade & Investment’s data, the ecosystem of foreign subsidiaries in Catalonia is dynamic but established at the same time: 18% of the subsidiaries of foreign companies in Catalonia have been created in the last 5 years, while 63% is over 10 years old. With these data, Catalonia Trade & Investment analyses subsidiaries of foreign companies, that is, those companies in which foreign capital is the majority (50% or more foreign capital), in all sectors of the economy.
More companies in tech sectors
A total of 1,369 foreign companies located in Catalonia (16% of the total) belong to technology sectors, a figure that has increased by 21% compared to 2018. These are subsidiaries that are mostly dedicated to the fields of ICT, the Industry 4.0, biotechnology, electronics, health and medical equipment, smart cities, digital and audiovisual content, mobile, video games and R&D.
Regarding sectors as a whole (per number of companies), the foreign subsidiaries established in Catalonia are dedicated to infrastructure (11.5% of the total), ICT-digital transformation (7.7%) and machinery (7.4%), which is “key for the digitalization of industry towards and industry 4.0, which provides greater added value and the ability to attract both local and international talent”, the Minister highlighted.
Public support to foreign investment
The strategy to attract foreign investment in Catalonia is led by Catalonia Trade & Investment. The agency operates from Barcelona alongside a network of 40 foreign trade and investment offices around the world, aiming to attract new foreign investment projects to Catalonia.
Unrelated to this entry: records of molecules
********
Record 1
18
Properties=species:S:1:pos:R:3:forces:R:3 method="wB97M-V/def2-TZVPD" e_homo_ev=-14.54 charge=+1 de_lowest_kcal_mol=18.5
C -0.567382 1.630462 2.324946 -0.52 0.15 0.36
C -2.169817 0.344113 1.065384 -0.90 -0.12 0.38
N -0.973696 0.658978 1.310191 0.29 -0.10 0.02
H 0.284612 2.207959 1.971430 -0.11 -0.08 0.03
H -0.334095 1.097059 3.246145 0.31 -0.05 -0.13
H -1.418478 2.272832 2.560425 0.19 0.09 -0.20
H -2.989545 0.810260 1.597314 0.15 0.34 0.21
H -2.470294 -0.415894 0.369471 0.55 -0.18 -0.40
H -0.194004 0.205571 0.792647 0.04 -0.04 -0.30
H -1.880841 -0.488209 -2.431791 0.05 0.09 -0.09
H -1.252166 0.851471 -1.992744 0.02 -0.09 -0.21
O -1.468230 -0.036079 -1.688789 -0.06 -0.03 0.18
H 1.376313 -0.943099 -0.568296 0.42 0.05 -0.01
H 2.063993 0.261321 0.189891 0.26 -0.40 -0.17
O 1.246247 -0.057659 -0.202277 -0.58 0.25 0.26
H 3.647784 -2.787347 -2.266905 -0.18 -0.02 0.17
H 3.300197 -1.317898 -2.381258 -0.04 -0.05 0.00
O 3.045333 -2.120868 -1.911377 0.11 0.21 -0.11



Record 2
101
Properties=species:S:1:pos:R:3:forces:R:3 method="wB97M-V/def2-TZVPD" e_homo_ev="-7.22 / -7.22" de_lowest_kcal_mol=0.0
Pd -0.090423 1.531543 -1.042400 -0.41 -0.46 -0.31
S 1.736842 2.276221 -2.133552 0.08 0.03 0.12
C 1.678664 3.928510 -1.514076 -0.61 0.01 0.15
N 2.712885 4.684213 -1.547540 0.01 -0.44 -0.05
N 2.684917 5.911217 -0.991873 -0.22 0.06 -0.67
C 2.029865 6.283067 0.174994 -0.20 0.15 0.80
C 1.756412 5.352511 1.185163 -0.02 0.17 0.03
C 1.160525 5.771110 2.360146 0.02 -0.02 -0.04
C 0.845386 7.110549 2.560939 -0.04 0.04 0.04
C 1.131985 8.030677 1.565573 -0.04 0.05 0.05
C 1.713150 7.624720 0.373177 0.02 -0.18 0.00
N 0.423330 4.445382 -1.079006 -0.33 -0.16 -0.01
N -0.493905 3.617747 -0.905818 0.92 0.15 -0.12
C -1.755744 4.163957 -0.532492 0.15 0.08 -0.10
C -1.834337 5.357326 0.177597 -0.24 -0.23 -0.07
C -3.089003 5.832973 0.519819 -0.06 0.01 0.01
C -4.231347 5.142060 0.135494 -0.02 -0.02 -0.01
C -4.130985 3.964290 -0.600296 -0.05 0.14 0.05
C -2.884702 3.455676 -0.928630 0.08 0.10 -0.01
H 3.448765 6.485403 -1.287244 0.23 0.01 -0.02
H 1.990382 4.306184 1.041078 0.02 0.00 0.03
H 0.939097 5.041547 3.128483 -0.01 -0.01 -0.01
H 0.376152 7.427457 3.482874 0.01 0.01 0.00
H 0.889258 9.076556 1.704905 -0.01 0.00 0.01
H 1.906396 8.342476 -0.413763 0.02 -0.01 -0.03
H -0.938823 5.882057 0.471053 0.12 -0.01 0.01
H -3.173920 6.748726 1.091109 -0.02 -0.01 -0.01
H -5.206670 5.526071 0.405544 0.00 -0.01 -0.01
H -5.029298 3.455890 -0.927056 -0.02 -0.03 -0.01
H -2.773959 2.529507 -1.485894 0.00 0.16 0.09
N -2.028010 -1.319786 2.698366 -0.62 0.47 -0.79
C -2.250307 0.106298 2.250715 0.03 -0.19 0.14
C -3.215037 0.783610 3.211380 -0.04 0.15 0.00
P -2.981853 -0.075002 0.529493 -0.20 0.40 0.13
O -4.332681 0.799106 0.611607 0.08 0.21 -0.08
O -3.343943 -1.518210 0.468333 -0.07 -0.26 0.02
O -2.116211 0.539892 -0.527221 0.65 0.20 -0.19
P -0.577678 0.870545 2.219469 -0.06 -0.19 -0.10
O -0.394069 1.139003 3.814525 0.38 0.32 0.21
O 0.332628 -0.243837 1.796700 -0.04 0.14 0.09
********
In this sense, last year Catalonia Trade & Investment attracted 365.2 million euros of foreign investment, 13% more than the previous year. These foreign investment projects have led to the creation of 5,757 jobs (a growth of 5.5% year-on-year) and the maintenance of an additional 1,349 jobs (+6.3%). Thus, for every euro of public money spent, the Catalan Government attracted 144 euros in foreign investment.